Brief:
It remains to copy everything further down with every line break kept.

Given:
=====
No. 1
A relaxed Ce3PuAs4 crystal. Source: the Alexandria database, functional PBE-GGA.

Values from the calculation:
Magnetic moment in Bohr magnetons per cell: 7.39
Uncorrected energy in eV per cell: -61.3
Space-group type: No. 221
E above lowest polymorph in meV/atom: 7.4
Formation energy in meV per atom: -1320

```
data_Ce3PuAs4
_chemical_formula_sum 'Ce3 Pu1 As4'
_cell_length_a 5.9441
_cell_length_b 5.9441
_cell_length_c 5.9441
_cell_angle_alpha 90.00
_cell_angle_beta 90.00
_cell_angle_gamma 90.00
_symmetry_space_group_name_H-M 'P 1'
_symmetry_Int_Tables_number 1
loop_
_symmetry_equiv_pos_as_xyz
'x,y,z'
loop_
_atom_site_label
_atom_site_type_symbol
_atom_site_fract_x
_atom_site_fract_y
_atom_site_fract_z
As1 As 0.0000 0.5000 0.0000
As2 As 0.5000 0.5000 0.5000
As3 As 0.5000 0.0000 0.0000
As4 As 0.0000 0.0000 0.5000
Pu1 Pu 0.0000 0.0000 0.0000
Ce1 Ce 0.0000 0.5000 0.5000
Ce2 Ce 0.5000 0.5000 0.0000
Ce3 Ce 0.5000 0.0000 0.5000
```


No. 2
A relaxed LiAcEuGe crystal. Source: the Alexandria database, functional PBE-GGA.

Values from the calculation:
Magnetic moment in Bohr magnetons per cell: 7.39
Uncorrected energy in eV per cell: -22.3
Space-group type: No. 216
Formation energy in meV per atom: -341

```
data_LiAcEuGe
_chemical_formula_sum 'Li1 Ac1 Eu1 Ge1'
_cell_length_a 5.4568
_cell_length_b 5.4568
_cell_length_c 5.4568
_cell_angle_alpha 60.00
_cell_angle_beta 60.00
_cell_angle_gamma 60.00
_symmetry_space_group_name_H-M 'P 1'
_symmetry_Int_Tables_number 1
loop_
_symmetry_equiv_pos_as_xyz
'x,y,z'
loop_
_atom_site_label
_atom_site_type_symbol
_atom_site_fract_x
_atom_site_fract_y
_atom_site_fract_z
Eu1 Eu 0.0000 0.0000 0.0000
Li1 Li 0.7500 0.7500 0.7500
Ac1 Ac 0.5000 0.5000 0.5000
Ge1 Ge 0.2500 0.2500 0.2500
```


No. 3
A relaxed FeRePt crystal. Source: the Alexandria database, functional PBE-GGA.

Values from the calculation:
Magnetic moment in Bohr magnetons per cell: 1.41
Uncorrected energy in eV per cell: -27.1
Space-group type: No. 44
E above lowest polymorph in meV/atom: 0.0
Formation energy in meV per atom: -33
=====

Done:
No. 1
A relaxed Ce3PuAs4 crystal. Source: the Alexandria database, functional PBE-GGA.

Values from the calculation:
Magnetic moment in Bohr magnetons per cell: 7.39
Uncorrected energy in eV per cell: -61.3
Space-group type: No. 221
E above lowest polymorph in meV/atom: 7.4
Formation energy in meV per atom: -1320

```
data_Ce3PuAs4
_chemical_formula_sum 'Ce3 Pu1 As4'
_cell_length_a 5.9441
_cell_length_b 5.9441
_cell_length_c 5.9441
_cell_angle_alpha 90.00
_cell_angle_beta 90.00
_cell_angle_gamma 90.00
_symmetry_space_group_name_H-M 'P 1'
_symmetry_Int_Tables_number 1
loop_
_symmetry_equiv_pos_as_xyz
'x,y,z'
loop_
_atom_site_label
_atom_site_type_symbol
_atom_site_fract_x
_atom_site_fract_y
_atom_site_fract_z
As1 As 0.0000 0.5000 0.0000
As2 As 0.5000 0.5000 0.5000
As3 As 0.5000 0.0000 0.0000
As4 As 0.0000 0.0000 0.5000
Pu1 Pu 0.0000 0.0000 0.0000
Ce1 Ce 0.0000 0.5000 0.5000
Ce2 Ce 0.5000 0.5000 0.0000
Ce3 Ce 0.5000 0.0000 0.5000
```


No. 2
A relaxed LiAcEuGe crystal. Source: the Alexandria database, functional PBE-GGA.

Values from the calculation:
Magnetic moment in Bohr magnetons per cell: 7.39
Uncorrected energy in eV per cell: -22.3
Space-group type: No. 216
Formation energy in meV per atom: -341

```
data_LiAcEuGe
_chemical_formula_sum 'Li1 Ac1 Eu1 Ge1'
_cell_length_a 5.4568
_cell_length_b 5.4568
_cell_length_c 5.4568
_cell_angle_alpha 60.00
_cell_angle_beta 60.00
_cell_angle_gamma 60.00
_symmetry_space_group_name_H-M 'P 1'
_symmetry_Int_Tables_number 1
loop_
_symmetry_equiv_pos_as_xyz
'x,y,z'
loop_
_atom_site_label
_atom_site_type_symbol
_atom_site_fract_x
_atom_site_fract_y
_atom_site_fract_z
Eu1 Eu 0.0000 0.0000 0.0000
Li1 Li 0.7500 0.7500 0.7500
Ac1 Ac 0.5000 0.5000 0.5000
Ge1 Ge 0.2500 0.2500 0.2500
```


No. 3
A relaxed FeRePt crystal. Source: the Alexandria database, functional PBE-GGA.

Values from the calculation:
Magnetic moment in Bohr magnetons per cell: 1.41
Uncorrected energy in eV per cell: -27.1
Space-group type: No. 44
E above lowest polymorph in meV/atom: 0.0
Formation energy in meV per atom: -33